
瞎扯学中文 is a podcast to help intermediary Mandarin learner to immerse in natural and authentic Chinese conversions. In the podcast we discuss topics from daily lives to politics, from China and around the world. We also explain words and expressions.

瞎扯学中文 Convo Chinese Joanne

    • 教育
    • 4.7 • 3件の評価

瞎扯学中文 is a podcast to help intermediary Mandarin learner to immerse in natural and authentic Chinese conversions. In the podcast we discuss topics from daily lives to politics, from China and around the world. We also explain words and expressions.

    Episode 61 | 爱与成长:聊聊亲子关系 Growing Up and Parent-child Relationship

    Episode 61 | 爱与成长:聊聊亲子关系 Growing Up and Parent-child Relationship

    Free transcript with Pinyin + Translation:  https://www.yaya.press/doc/DZoO0kFByCaaqnxvTGtz
    Try Yaya for your Chinese Learning (it's built by my husband David) !Yaya is a language learning webapp where you learn by reading - it is still the beta version so expect bugs! ;) Reading compelling content is one of the most effective ways to learn another language. And it's fun! Give a creative topic or prompt, and it uses AI to generate a dialog, story, article, or other fun types of content with sentence-by-sentence translations at any reading level. You can also upload your own texts (so you can study with whatever reading you want!). Yaya will get you tackling that novel you've been wanting to read much sooner in your learning journey. Try it!
    打断|dǎduàn|interrupt; break off; cut off
    亲子关系|qīnzǐguānxì|parent-child relationship
    同龄|tónglíng|same age; of the same age
    转折点|zhuǎnzhédiǎn|turning point; critical point; watershed
    感悟|gǎnwù|perception; insight; understanding
    长大成人|chángdàchéngrén|grow up; come of age; reach adulthood
    迅速|xùnsù|rapid; speedy; fast
    老去|lǎo qù|grow old; aging
    掌控|zhǎngkòng|control; dominate
    欲望|yùwàng|desire; longing; craving
    价值观|jiàzhíguān|values; value system; moral values
    人生观|rénshēngguān|outlook on life; life view; philosophy of life
    认知|rènzhī|cognition; awareness; perception
    挣扎|zhēngzhá|struggle; wrestle; flounder
    碰撞|pèngzhuàng|collision; clash; conflict
    领悟|lǐngwù|comprehend; understand; grasp
    关键的节点|guānjiàn de jiédiǎn|critical point; key point
    精确|jīngquè|accurate; precise
    老年大学|lǎoniándàxué|university for the elderly; senior university
    玩手机|wán shǒujī|play with a mobile phone; use a mobile phone
    深刻地理解到|shēnkè de lǐjiě dào|deeply understand; profoundly realize
    成年人|chéngniánrén|adult; grown-up
    一套理论|yītào lǐlùn|a set of theories; a theory
    伤人|shāngrén|hurt someone; injure someone
    矛盾|máodùn|conflict; contradiction; disagreement
    冷暴力|lěngbàolì|cold violence; silent treatment; emotional neglect
    搞那么大|gǎo nàme dà|make a big deal out of it; blow things out of proportion
    上一辈人|shàng yībèi rén|previous generation; older generation
    情绪价值|qíngxù jiàzhí|emotional value
    边界感|biānjiè gǎn|sense of boundaries; sense of limits
    混为一谈|hùnwéiyītán|to confuse two different things; to lump together
    孝顺|xiàoshùn|filial piety; to be obedient to one's parents
    投射|tóushè|project; cast; throw
    帖子|tiězi|post; message; thread
    自我意识|zìwǒyìshí|self-awareness; self-consciousness
    亲密关系|qīnmìguānxì|intimate relationship
    从属关系|cóngshǔguānxì|subordinate relationship; dependency relationship
    养育之恩|yǎngyùzhīēn|the grace of raising; the kindness of upbringing
    养儿防老|yǎng'érfánglǎo|raise children to provide for old age
    公务员|gōngwùyuán|civil servant; public official
    探索自我|tànsuǒ zìwǒ|self-exploration; self-discovery
    虚无缥缈|xūwúpiǎomiǎo|ethereal; illusory; vague

    Powered by Firstory Hosting

    • 27分
    Episode 60 | 三十岁的都开始养生了 Wholesome lifestyles for millennials

    Episode 60 | 三十岁的都开始养生了 Wholesome lifestyles for millennials

    Free transcript with Pinyin + Translation:   https://www.yaya.press/doc/QQaFqX6GklQAEiBN8XPu
    Try Yaya for your Chinese Learning (it's built by my husband David) !Yaya is a language learning webapp where you learn by reading - it is still the beta version so expect bugs! ;) Reading compelling content is one of the most effective ways to learn another language. And it's fun! Give a creative topic or prompt, and it uses AI to generate a dialog, story, article, or other fun types of content with sentence-by-sentence translations at any reading level. You can also upload your own texts (so you can study with whatever reading you want!). Yaya will get you tackling that novel you've been wanting to read much sooner in your learning journey. Try it!

    娱乐--yúlè--entertainment; recreation; amusement
    项目--xiàngmù--project; program; item
    搞笑--gǎoxiào--funny; humorous; amusing
    帖子--tiězi--post; message; note
    精准--jīngzhǔn--accurate; precise; exact
    精神--jīngshén--spirit; mind; vitality
    追求--zhuīqiú--pursuit; aspiration; to pursue
    流行--liúxíng--popular; fashionable; prevalent
    90年代--90 niándài--the 1990s
    半马--bàn mǎ--half marathon
    酸爽--suān shuǎng--refreshing; exhilarating; pleasantly stimulating
    寂寞--jìmò--lonely; lonesome; solitude
    气氛--qìfēn--atmosphere; ambiance
    初衷--chūzhōng--original intention; initial purpose
    挑战一下自己--tiǎozhàn yīxià zìjǐ--challenge oneself
    维持--wéichí--maintain; keep; preserve
    酸痛--suāntòng--sore; aching
    心肺功能--xīnfèi gōngnéng--cardiopulmonary function
    平路--píng lù--flat road
    下坡--xiàpō--downhill; descent; slope
    来得及--láidejí--to be in time for; to make it in time; to have enough time
    氛围--fēnwéi--atmosphere; ambiance; environment
    拉练--lāliàn--training; drill; physical training
    迈开腿--màikāi tuǐ--to stretch out one's legs; to take a step
    下楼梯--xiàlóutī--go downstairs
    潮流--cháoliú--trend; fashion; current
    抬轿子--táijiàozi--to carry the sedan chair
    全程--quánchéng--the whole process; the entire way; throughout
    养生--yǎngshēng--health preservation; wellness; health cultivation
    修行--xiūxíng--spiritual practice; self-cultivation
    伤膝盖--shāng xīgài--injure the knee
    禅修--chán xiū--meditation; Zen practice
    徒步--túbù--hiking; walking; trekking
    上瘾--shàngyǐn--addictive; to become addicted
    碎片化信息--suìpiàn huà xìnxī--fragmented information
    灵魂--línghún--soul; spirit
    鸡汤--jītāng--chicken soup; motivational or comforting words
    赚钱养家--zhuànqián yǎngjiā--earn money to support the family
    觉醒--juéxǐng--awakening; enlightenment; realization
    大数据--dà shùjù--big data
    晒--shài--to sun; to bask; to dry in the sun
    熬夜--áoyè--to stay up late; to burn the midnight oil
    枸杞--gǒuqǐ--goji berries; wolfberry
    开水--kāishuǐ--boiled water

    Powered by Firstory Hosting

    • 19分
    Episode 59 | 对二十岁的自己最想说的话 Things I would tell my 20 year old self

    Episode 59 | 对二十岁的自己最想说的话 Things I would tell my 20 year old self

    Free transcript with Pinyin + Translation:   https://www.yaya.press/doc/seADexWXZ3YyEwPBJ1Ei
    Try Yaya for your Chinese Learning (it's built by my husband David) !Yaya is a language learning webapp where you learn by reading - it is still the beta version so expect bugs! ;) Reading compelling content is one of the most effective ways to learn another language. And it's fun! Give a creative topic or prompt, and it uses AI to generate a dialog, story, article, or other fun types of content with sentence-by-sentence translations at any reading level. You can also upload your own texts (so you can study with whatever reading you want!). Yaya will get you tackling that novel you've been wanting to read much sooner in your learning journey. Try it!
    If Yaya doesn't work for you, try here: transcript and vocabulary


    入职 rù zhí | to take up a position; to start a new job
    稀客 xī ke | rare guest
    老套 lǎotào | cliché
    全局最优解 quánjú zuìyōu jiě | global optimum solution
    职业道路 zhíyè dàolù | career path; professional journey
    曲折 qūzhé | tortuous; winding; full of twists and turns
    随意 suíyì | casual; arbitrary; random
    积累 jīlěi | accumulate; build up; gather
    幸存者偏差 xìngcúnzhě piānchā | survivorship bias
    反过来说 fǎnguòláishuō | on the other hand
    很妙 hěnmiào | wonderful; marvelous; fantastic
    归因于 guīyīnyú | attribute to
    三番 sānfān | san fransisco
    随机 suíjī | random
    恐慌 kǒnghuāng | panic
    规划 guīhuà | plan; planning; arrangement
    人生伴侣 rénshēng bànlǚ | life partner
    水晶球 shuǐjīngqiú | crystal ball
    女巫 nǚwū | witch
    路径 lùjìng | path; route; way
    梗 gěng | meme; internet joke; online slang
    高考 gāokǎo | college entrance examination; Gaokao
    攀岩 pānyán | rock climbing
    值得被爱 zhíde bèi ài | worthy of being loved
    穿梭 chuān suo | shuttle; shuttle back and forth
    信念 xìnniàn | belief; faith; conviction
    盲目 máng mu | blind; blindly; without vision
    稀奇 xī qi | rare; unusual; surprising
    运势 yùnshì | luck; fortune; destiny
    纠缠 jiūchán | entangle; entanglement; to entangle
    算命师 suànmìngshī | fortune teller
    算命 suànmìng | fortune-telling
    八字 bāzì | birthdate; destiny; horoscope

    Powered by Firstory Hosting

    • 25分
    Episode 58 | 你最讨厌什么样的老板?What type of boss is the worst?

    Episode 58 | 你最讨厌什么样的老板?What type of boss is the worst?

    Free transcript with Pinyin + Translation:  https://www.yaya.press/web_reader/904c35bb-77de-4665-b40d-b6a676bc1169
    Try Yaya for your Chinese Learning (it's built by my husband David) !Yaya is a language learning webapp where you learn by reading - it is still the beta version so expect bugs! ;) Reading compelling content is one of the most effective ways to learn another language. And it's fun! Give a creative topic or prompt, and it uses AI to generate a dialog, story, article, or other fun types of content with sentence-by-sentence translations at any reading level. You can also upload your own texts (so you can study with whatever reading you want!). Yaya will get you tackling that novel you've been wanting to read much sooner in your learning journey. Try it!
    If Yaya doesn't work for you, try here: transcript and vocabulary

    同事 tóng​shì | colleague  
    职场 zhí​chǎng | workplace  
    大同小异 dà​tóng​xiǎo​yì | similar with slight differences  
    协调 xié​tiáo | coordination  
    生态 shēng​tài | ecology  
    国际组织 guó​jì zǔ​zhī | international organization  
    利益相关方 lì​yì xiāng​guān fāng | stakeholders  
    打交道 dǎ​jiāo​dào | interact or deal with  
    咨询 zī​xún | consulting  
    政府 zhèng​fǔ | government  
    领导 lǐng​dǎo | leadership  
    教授 jiào​shòu | professor  
    草根 cǎo​gēn | grassroots  
    擅长 shàn​cháng | skilled at, proficient in  
    学术界 xué​shù​jiè | academic circle  
    根据不同的角色 gēn​jù bù​tóng de jué​sè | based on different roles  
    不同文化 bù​tóng wén​huà | cultural differences  
    不同背景 bù​tóng bèi​jǐng | cultural diversity  
    不同视角 bù​tóng shì​jiǎo | different perspectives  
    欣赏 xīn​shǎng | appreciate, admire  
    尊重 zūn​zhòng | respect  
    绩效指标 jì​xiào zhǐ​biāo | performance indicators  
    好奇心 hào​qí​xīn | curiosity  
    倾听 qīng​tīng | listen attentively and sincerely  
    试图 shì​tú | attempt or try  
    销售 xiāo​shòu | sales  
    发扬 fā​yáng | promote and develop  
    大局观 dà​jú guān | big picture perspective  
    优势 yōu​shì | advantage  
    管得很细 guǎn de hěn xì | micromanage  
    微观管理 wēi​guān guǎn​lǐ | micromanagement  
    直截了当 zhí​jié​liǎo​dàng | straightforward, direct  
    表面上一套,背后一套 biǎo​miàn shàng yī​tào, bèi​hòu yī​tào | double standards  
    破事 pò shì | trivial matters  
    阴阳怪气 yīn​yáng​guài​qì | hypocritical or two-faced  
    很不舒服 hěn bù shū​fu | very uncomfortable  
    表扬 biǎo​yáng | praise  
    相亲相爱 undefined | undefined  
    拉踩 lā cǎi | praise and criticize  
    贬低 biǎn​dī | belittle or demean  
    狼性文化 láng xìng wén​huà | wolf culture  
    有害 yǒu​hài | harmful  
    抢了我的饭碗 qiǎng le wǒ de fàn​wǎn | took my job  
    季度 jì​dù | quarter  
    说白了 shuō​bái​le | in plain terms  
    末位淘汰 mò wèi táo​tài | last place elimination  
    考评 kǎo​píng | performance evaluation  
    惨 cǎn | miserable, unfortunate  
    触发 chù​fā | trigger  
    事无巨细 shì​wú​jù​xì | meticulous attention to detail  
    强加 qiáng​jiā | impose one's ideas  
    八字不合 bā​zì bù​hé | incompatible personalities  
    掌控 zhǎng​kòng | control  
    气场 qì​cháng | aura or presence  
    冲突 chōng​tū | conflict  
    顺畅 shùn​chàng | smooth, fluent  
    朋友圈 Péng​you​quān | social media circle  
    承认 chéng​rèn | acknowle

    • 19分
    Episode 57 | 生活中的小幸运 Little lucky things in our lives

    Episode 57 | 生活中的小幸运 Little lucky things in our lives

    Free transcript with Pinyin + Translation:  https://www.yaya.press/web_reader/3a3fd93d-c56b-4a39-9642-2a0d7b88445a

    Try Yaya for your Chinese Learning (it's built by my husband David) !Yaya is a language learning webapp where you learn by reading - it is still the beta version so expect bugs! ;) Reading compelling content is one of the most effective ways to learn another language. And it's fun! Give a creative topic or prompt, and it uses AI to generate a dialog, story, article, or other fun types of content with sentence-by-sentence translations at any reading level. You can also upload your own texts (so you can study with whatever reading you want!). Yaya will get you tackling that novel you've been wanting to read much sooner in your learning journey. Try it!
    If Yaya doesn't work for you, try here: transcript and vocabulary

    Leave a comment and share your thoughts: https://open.firstory.me/user/cko0g8j5m1toy0984t6s7mqtk/comments

    春节 Chūn​jié | Spring Festival
    大吉大利 dà​jí​dà​lì | great luck and prosperity
    拜一个年 bài yí gè nián | celebrate the new year
    万事如意 wàn​shì​rú​yì | good luck and prosperity
    龙腾虎跃 lóng​téng​hǔ​yuè | vigorous and lively
    合家欢乐 hé​jiā​huān lè | family happiness
    容光焕发 róng​guāng​huàn​fā | radiant and glowing
    谐音 xié​yīn | homophone
    生龙活虎 shēng​lóng​huó​hǔ | full of energy and vitality
    成语 chéng​yǔ | idiomatic expression
    触动 chù​dòng | touch emotionally
    录取通知书 lù​qǔ tōng​zhī shū | acceptance letter
    升职 shēng​zhí | promotion
    幸运 xìng​yùn | lucky
    喜事 xǐ​shì | happy event
    瞬间 shùn​jiān | moment
    幸福 xìng​fú | happiness
    小确幸 xiǎo què xìng | small moments of happiness
    搭配 dā​pèi | match or coordinate
    圣诞集市 Shèng​dàn jí​shì | Christmas market
    售卖 shòu​mài | sell
    五颜六色 wǔ​yán​liù​sè | colorful
    手工编织品 shǒu​gōng biān​zhī​pǐn | handmade woven products
    退休 tuì​xiū | retire
    毛衣 máo​yī | sweater
    袖套 xiù​tào | sleeve cover
    袜套 wà​tào | sock covers
    订单 dìng​dān | order
    织 zhī | knit or weave
    暖心 nuǎn xīn | warm-hearted
    挪威 Nuó​wēi | Norway
    丹麦 Dān​mài | Denmark
    倾注 qīng​zhù | pour one's heart and soul
    鸡皮疙瘩 jī​pí​gē​da | goosebumps
    不图回报 bù tú huí​bào | selfless, no expectations
    善意 shàn​yì | goodwill
    陌生人 mò​shēng​rén | stranger
    美好 měi​hǎo | beautiful and wonderful
    回馈 huí​kuì | reciprocate or give back
    友善 yǒu​shàn | friendly
    行为学实验 xíng​wéi xué shí​yàn | behavioral experiment
    注视 zhù​shì | gaze
    神经病 shén​jīng​bìng | mentally ill
    传染力 chuán​rǎn lì | contagious power
    本能 běn​néng | instinct
    发自内心 fā​zì nèi​xīn | heartfelt, sincere
    陡 dǒu | steep
    小镇 xiǎo​zhèn | small town
    餐车 cān​chē | food truck
    刷卡 shuā​kǎ | swipe card
    尴尬 gān​gà | awkward or embarrassed
    汉堡 Hàn​bǎo | hamburger
    世间 shì​jiān | world
    乒乓 pīng​pāng | ping pong
    跨年 kuà nián | New Year's Eve
    欠他钱 qiàn tā qián | owe him money
    亚超 yà chāo | Asian supermarket
    韭菜 jiǔ​cài | Chinese vegetable
    换钱 huàn​qián | exchange money
    做好事不留名 zuò hǎo​shì bù liú míng | do good deeds anonymously
    燃眉之急 rán​méi​zhī​jí | urgent situation
    纯属 chún​shǔ | purely coincidental
    奋力 fèn​lì | make great e

    • 19分
    Episode 56 | 欢天喜地过大年咯 Happy Spring Festival!

    Episode 56 | 欢天喜地过大年咯 Happy Spring Festival!

    Free transcript with Pinyin + Translation:  https://www.yaya.press/web_reader/237677ae-0c02-4ac6-a126-86d88ab55bc3
    Transcript powered by Yaya: Yaya is a language learning webapp where you learn by reading - it is still the beta version so expect bugs! ;) Reading compelling content is one of the most effective ways to learn another language. And it's fun! Give a creative topic or prompt, and it uses AI to generate a dialog, story, article, or other fun types of content with sentence-by-sentence translations at any reading level. You can also upload your own texts (so you can study with whatever reading you want!). Yaya will get you tackling that novel you've been wanting to read much sooner in your learning journey. Try it!
    If Yaya doesn't work for you, try here: transcript and vocabulary
    春节 Chūn​jié |  Spring Festival
    挥了一下手 huī le yī​xià shǒu |  waved hand
    逗 dòu |  amuse or entertain
    虚拟 xū​nǐ |  virtual
    有礼貌 yǒu lǐ​mào |  polite
    语气词 yǔ​qì​cí |  particles used to express tone
    简化 jiǎn​huà |  simplify
    直截了当 zhí​jié​liǎo​dàng |  straightforward
    训练 xùn​liàn |  training
    回国 huí​guó |  return to one's country
    旅行 lǚ​xíng |  travel
    泰国 Tài​guó |  Thailand
    曼谷 Màn​gǔ |  capital city of Thailand
    办护照 bàn hù​zhào |  obtain a passport
    签证 qiān​zhèng |  visa
    申请材料 shēn​qǐng cái​liào |  application materials
    可惜 kě​xī |  unfortunate
    影响 yǐng​xiǎng |  influence or affect
    海滩 hǎi​tān |  beach
    报恩 bào​'ēn |  repay kindness
    地陪 dì​péi |  local tour guide
    导游 dǎo​yóu |  tour guide
    少数民族 shǎo​shù​mín​zú |  ethnic minorities
    习俗 xí​sú |  customs or traditions
    年夜饭 nián​yè​fàn |  New Year's Eve dinner
    亲戚 qīn​qi |  relatives
    放鞭炮 fàng​biān​pào |  set off firecrackers
    汉族 Hàn​zú |  Han ethnic group
    春晚 Chūn​Wǎn |  Spring Festival Gala
    除夕 Chú​xī |  New Year's Eve
    联欢 lián​huān |  celebration or gathering
    午夜 wǔ​yè |  midnight
    其乐融融 qí​lè​róng​róng |  joyful and harmonious
    倒数 dào​shǔ |  countdown to New Year
    倒计时 dào​jì​shí |  countdown
    中央电视台 Zhōng​yāng​Diàn​shì​tái |  Central Television
    媲美 pì​měi |  comparable or on par
    元旦 Yuán​dàn |  New Year's Day
    昵称 nì​chēng |  nickname
    阳历 yáng​lì |  Gregorian calendar
    刷 shuā |  brush
    锻炼 duàn​liàn |  exercise
    小年夜 xiǎo nián​yè |  New Year's Eve
    大年夜 dà nián​yè |  New Year's Eve
    阴历 yīn​lì |  Lunar calendar
    红烧肉 hóng​shāo​ròu |  braised pork
    红三剁 hóng sān duò |  red three chop
    八宝饭 bā bǎo fàn |  Eight treasure rice
    糯米 nuò​mǐ |  sticky rice dessert
    核桃 hé​tao |  walnut
    南瓜子 nán​guā zi |  pumpkin seeds
    红枣 hóng​zǎo |  dried red dates
    豆沙 dòu​shā |  sweet bean paste
    彩色 cǎi​sè |  colorful
    压轴 yā zhóu |  grand finale
    赵本山 Zhào​Běn​shān |  famous skit actor
    东北 Dōng​běi |  Northeast China
    小品 xiǎo​pǐn |  skit or sketch
    字幕 zì​mù |  subtitles
    鞭炮 biān​pào |  firecrackers
    时差 shí​chā |  time difference
    嗑瓜子 kè guā​zǐ |  eat melon seeds
    初七 chū qī |  seventh day of the lunar month
    初一 chū​yī |  New Year's Day
    走亲访友 zǒu​qīn​fǎng​yǒu |  visit relatives and friends
    串门 chuàn​mén |  visit

    • 24分





Between two parts of the piece: data records >
~~~
Record 1
17
Properties=species:S:1:pos:R:3 method="wB97M-V/def2-TZVPD" relative_energy_kj_mol=632.93 lumo_ev="-4.8 / -4.8" spin_multiplicity=1 charge=+1 gap_ha="0.3144 / 0.3144"
N 1.804 -0.805 0.146
C 0.888 0.381 -0.074
C -0.175 0.611 0.984
N -1.162 1.380 0.591
C -1.110 1.452 -0.802
C -0.536 0.003 -1.051
O -0.964 -1.041 -0.290
C -0.831 -0.815 1.133
H 1.253 -1.588 -0.014
H 1.845 -0.847 1.173
H 2.685 -0.966 -0.407
H 1.396 1.443 -0.097
H -0.429 2.063 -1.310
H -2.234 1.553 -1.196
H -0.323 -0.463 -2.073
H -0.259 -1.560 1.733
H -1.849 -0.802 1.553

=====

Record 2
10
Properties=species:S:1:pos:R:3 method="wB97M-V/def2-TZVPD" relative_energy_kj_mol=274.09 lumo_ev=0.5 spin_multiplicity=1 gap_ha=0.3410
O 1.749 -0.629 0.170
N 0.921 0.136 0.951
C -0.244 0.439 0.309
S -1.105 1.909 0.561
N -0.595 -0.488 -0.583
O -1.824 -0.419 -1.195
H 1.772 -1.452 0.646
H 1.360 0.969 1.394
H 0.092 -0.994 -1.105
H -2.126 0.528 -1.148

=====

Record 3
26
Properties=species:S:1:pos:R:3 method="wB97M-V/def2-TZVPD" relative_energy_kj_mol=16.56 lumo_ev="-3.5 / -3.7" spin_multiplicity=4 charge=+1 gap_ha="0.2923 / 0.2938"
V -0.327 0.991 1.335
F -3.859 -2.809 -0.409
C -2.639 -2.257 -0.442
C -2.393 -1.117 0.303
C -1.131 -0.524 0.259
C -0.131 -1.125 -0.549
C -0.436 -2.278 -1.253
F 0.506 -2.871 -2.014
C -1.681 -2.864 -1.224
C 1.172 -0.411 -0.622
C 2.324 -0.806 -1.293
C 3.438 0.010 -1.279
C 3.418 1.224 -0.600
C 2.259 1.561 0.050
N 1.171 0.769 0.054
H -3.204 -0.718 0.900
H -1.893 -3.757 -1.794
H 2.339 -1.747 -1.816
H 4.332 -0.299 -1.806
H 4.272 1.884 -0.581
H 2.178 2.493 0.598
Cl -1.734 1.449 3.239
C -2.032 3.080 2.522
Cl -1.349 3.034 0.848
H -1.502 3.825 3.100
H -3.098 3.261 2.475

=====

Record 4
24
Properties=species:S:1:pos:R:3 method="wB97M-V/def2-TZVPD" relative_energy_kj_mol=189.43 lumo_ev=-3.7 spin_multiplicity=1 charge=+1 gap_ha=0.3433
C -0.994 -0.894 1.537
C -1.171 0.608 1.725
N -2.410 0.935 2.447
N 0.357 -1.288 0.989
H -1.115 -1.507 2.444
H -1.739 -1.291 0.799
H -0.267 1.049 2.190
H -1.292 1.102 0.767
H -2.450 1.959 2.585
H -2.331 0.558 3.394
H 1.023 -1.223 1.754
H 0.322 -2.270 0.747
C 0.471 -0.801 -2.838
C 1.603 -0.129 -2.099
C 1.082 1.672 -0.631
N 1.102 0.413 -0.820
H 0.052 -1.633 -2.256
H -0.282 -0.056 -3.180
H 0.753 -1.199 -3.836
H 2.455 -0.759 -1.827
H 2.013 0.712 -2.704
H 0.608 2.140 0.226
H 1.569 2.348 -1.329
H 0.639 -0.444 -0.084

=====

Record 5
61
Properties=species:S:1:pos:R:3 method="wB97M-V/def2-TZVPD" relative_energy_kj_mol=33.29 lumo_ev=0.5 spin_multiplicity=1 gap_ha=0.2952
C -1.926 -2.175 2.517
C -2.884 -2.795 1.502
N -2.715 -2.205 0.198
C -1.833 -2.530 -0.797
C -0.789 -3.594 -0.736
N 0.492 -3.018 -1.088
C 1.266 -2.415 -0.148
O 1.056 -2.528 1.045
C 2.420 -1.665 -0.720
C 2.229 -0.745 -1.745
C 3.308 -0.050 -2.259
C 4.582 -0.286 -1.772
C 4.775 -1.199 -0.748
C 3.696 -1.875 -0.211
N -1.958 -1.701 -1.796
N -2.917 -0.814 -1.495
C -3.360 -1.110 -0.306
S -4.546 -0.226 0.601
C -4.679 1.297 -0.393
C -3.470 1.724 -1.223
O -3.659 2.054 -2.376
N -2.265 1.824 -0.625
~~~

英語で雑談!Kevin’s English Room Podcast
ケビン (Kevin's English Room)
英語聞き流し | Sakura English/サクラ・イングリッシュ
SAKURA English School
6 Minute English
BBC Radio
Hapa英会話 Podcast
Jun Senesac: バイリンガル 英会話 & ビジネス英語 講師
TED Talks Daily
【聞くだけで覚えられる 】簡単な英語表現・ 初級 | 聞き流しのリスニイング 🍎


TeaTime Chinese 茶歇中文
Nathan Rao
大鹏说中文 - Speak Chinese with Da Peng
Da Peng
Speak Chinese Naturally -Learn Chinese (Mandarin)
Speak Chinese Naturally
聊聊东西 - Talk to Me in Chinese
Candice X
Learning Chinese through Stories
Chillchat (Learn Chinese and Chill)
Chilling Chinese